It remains to repeat all of the rows underneath verbatim.
/*
(1)
Here is a molecular structure, C8H15N2O from the OMol25 dataset. Energies are from ωB97M-V with the def2-TZVPD basis set.

The geometry in XYZ format:
```
26
Properties=species:S:1:pos:R:3:nbo_charge:R:1
C -2.8441 -0.3155 -0.5084 0.86
C 1.8440 -1.2147 -0.4204 -0.02
C 1.1263 0.5937 -0.9032 0.16
C 1.9395 0.1357 0.0732 0.04
C 1.2727 -2.3554 0.4302 -0.62
C 0.5651 1.9547 -1.3039 -0.66
C 2.5218 0.8304 1.2114 -0.66
C -4.9524 0.6854 0.3215 -0.43
N -3.8162 -0.1170 0.1039 -0.45
N 0.8422 -0.7302 -1.4734 -0.56
O -1.7217 -0.4979 -0.7727 -0.65
H 2.8216 -1.5534 -0.7862 0.23
H 0.3421 -2.0924 0.9194 0.22
H 1.9627 -2.6542 1.2074 0.24
H 1.0897 -3.0957 -0.2180 0.22
H 0.4575 2.5560 -0.5002 0.24
H -0.4169 1.9131 -1.8816 0.24
H 1.1779 2.4593 -2.0160 0.24
H 2.8470 1.7058 0.8119 0.24
H 3.3084 0.4236 1.7382 0.24
H 1.7053 0.8235 1.9658 0.25
H -5.1339 1.1078 -0.7793 0.23
H -5.7386 0.1215 0.8311 0.24
H -4.5485 1.5743 0.8954 0.23
H 0.9826 -0.9182 -2.5111 0.43
H -0.1772 -0.9869 -1.3545 0.48
```

The calculation puts the orbital gap at 10.54 eV. Its net charge is +1. The value obtained for the relative energy (zero: lowest compared OMol25 entry of this formula, charge and spin) is 73.53 kcal/mol. Its calculated total energy is -498.251056 Ha.

(2)
Here is a molecular structure, C8H11Br2NO from the OMol25 dataset. Energies are from ωB97M-V with the def2-TZVPD basis set.

The geometry in XYZ format:
```
23
Properties=species:S:1:pos:R:3:lowdin_spin:R:1
C -2.1548 -0.4627 0.0803 0.42
C -1.0490 -1.4072 0.5217 0.05
C 0.5969 0.3455 -0.2861 0.10
C 0.1894 -1.1472 -0.2644 0.02
C -0.4130 1.1957 -0.3718 0.02
C -4.4534 -0.1070 -0.5174 0.62
C 1.4456 -1.9274 0.3472 0.01
C -0.3129 2.7117 -0.4592 0.00
N -1.7573 0.7537 -0.3124 0.14
O -3.3923 -0.7692 0.0727 0.22
Br -5.9600 -1.3197 -0.1149 0.12
Br -4.8289 1.6771 0.2395 0.24
H -0.8992 -1.2561 1.5779 0.02
H -1.2794 -2.5277 0.5272 0.00
H 1.6774 0.5467 -0.7301 0.01
H 0.0150 -1.3912 -1.2863 0.00
H 1.8078 -1.5824 1.3074 0.00
H 2.3486 -1.9737 -0.3922 0.00
H 1.2001 -2.9768 0.4794 0.00
H -0.2100 3.0953 -1.5146 0.00
H 0.5271 3.1002 0.1869 0.00
H -1.3563 3.1110 -0.0312 0.00
H -2.4898 1.5973 -0.4506 0.01
```

Its expectation value of S² is 2.013. The calculation puts the orbital gap (spin up / spin down) at 5.50 / 6.70 eV. As for the spin multiplicity: 3. Its net charge is 0. Its calculated total energy is -5589.247761 Ha.

(3)
Here is 3 unconnected molecules or ions with the total composition C6H10F3O4 from the OMol25 dataset. Energies are from ωB97M-V with the def2-TZVPD basis set.

The geometry in XYZ format:
```
23
Properties=species:S:1:pos:R:3:nbo_charge:R:1
O 2.3448 -2.6830 -0.3191 -0.82
H 1.5664 -1.6792 -0.9204 0.34
C 3.4875 -2.6164 0.2324 1.14
F 4.5244 -2.2882 -0.6135 -0.39
F 3.8730 -3.8017 0.8029 -0.39
F 3.5896 -1.6952 1.2515 -0.39
C 0.6869 -0.6768 -1.7484 -0.51
O -0.5362 -0.2173 -1.1836 -0.60
C -0.7418 -0.6203 0.1428 -0.08
C -2.0034 0.0055 0.7030 -0.08
O -1.8394 1.3292 1.1717 -0.52
C -1.8486 2.3208 0.1979 -0.17
C -1.8066 3.6906 0.8017 0.42
O -1.7863 3.9334 1.9848 -0.52
H 1.4504 0.1201 -1.6355 0.19
H 0.4309 -1.4765 -2.4689 0.19
H 0.1199 -0.3357 0.7770 0.18
H -0.8471 -1.7224 0.2013 0.17
H -2.8041 -0.0332 -0.0572 0.16
H -2.3307 -0.5812 1.5716 0.18
H -0.9940 2.2444 -0.5009 0.22
H -1.7785 4.5078 0.0464 0.09
H -2.7569 2.2753 -0.4375 0.18
```

The calculation puts the orbital gap at 7.03 eV. Its net charge is -1. The value obtained for the relative energy (zero: lowest compared OMol25 entry of this formula, charge and spin) is 12.28 kcal/mol. Its calculated total energy is -835.148735 Ha.

(4)
Here is 2 unconnected molecules or ions with the total composition C4H10O2 from the OMol25 dataset. Energies are from ωB97M-V with the def2-TZVPD basis set.

The geometry in XYZ format:
```
16
Properties=species:S:1:pos:R:3:nbo_charge:R:1
C -0.8172 -1.1611 -2.4459 -0.25
O -0.3003 -1.7599 -1.2817 -0.73
C -0.3576 0.2056 0.8823 -0.46
C 0.5624 0.7890 1.9051 0.08
C 1.0937 0.5115 0.5437 -0.47
O 0.4435 2.1338 2.2589 -0.70
*/
(1)
Here is a molecular structure, C8H15N2O from the OMol25 dataset. Energies are from ωB97M-V with the def2-TZVPD basis set.

The geometry in XYZ format:
```
26
Properties=species:S:1:pos:R:3:nbo_charge:R:1
C -2.8441 -0.3155 -0.5084 0.86
C 1.8440 -1.2147 -0.4204 -0.02
C 1.1263 0.5937 -0.9032 0.16
C 1.9395 0.1357 0.0732 0.04
C 1.2727 -2.3554 0.4302 -0.62
C 0.5651 1.9547 -1.3039 -0.66
C 2.5218 0.8304 1.2114 -0.66
C -4.9524 0.6854 0.3215 -0.43
N -3.8162 -0.1170 0.1039 -0.45
N 0.8422 -0.7302 -1.4734 -0.56
O -1.7217 -0.4979 -0.7727 -0.65
H 2.8216 -1.5534 -0.7862 0.23
H 0.3421 -2.0924 0.9194 0.22
H 1.9627 -2.6542 1.2074 0.24
H 1.0897 -3.0957 -0.2180 0.22
H 0.4575 2.5560 -0.5002 0.24
H -0.4169 1.9131 -1.8816 0.24
H 1.1779 2.4593 -2.0160 0.24
H 2.8470 1.7058 0.8119 0.24
H 3.3084 0.4236 1.7382 0.24
H 1.7053 0.8235 1.9658 0.25
H -5.1339 1.1078 -0.7793 0.23
H -5.7386 0.1215 0.8311 0.24
H -4.5485 1.5743 0.8954 0.23
H 0.9826 -0.9182 -2.5111 0.43
H -0.1772 -0.9869 -1.3545 0.48
```

The calculation puts the orbital gap at 10.54 eV. Its net charge is +1. The value obtained for the relative energy (zero: lowest compared OMol25 entry of this formula, charge and spin) is 73.53 kcal/mol. Its calculated total energy is -498.251056 Ha.

(2)
Here is a molecular structure, C8H11Br2NO from the OMol25 dataset. Energies are from ωB97M-V with the def2-TZVPD basis set.

The geometry in XYZ format:
```
23
Properties=species:S:1:pos:R:3:lowdin_spin:R:1
C -2.1548 -0.4627 0.0803 0.42
C -1.0490 -1.4072 0.5217 0.05
C 0.5969 0.3455 -0.2861 0.10
C 0.1894 -1.1472 -0.2644 0.02
C -0.4130 1.1957 -0.3718 0.02
C -4.4534 -0.1070 -0.5174 0.62
C 1.4456 -1.9274 0.3472 0.01
C -0.3129 2.7117 -0.4592 0.00
N -1.7573 0.7537 -0.3124 0.14
O -3.3923 -0.7692 0.0727 0.22
Br -5.9600 -1.3197 -0.1149 0.12
Br -4.8289 1.6771 0.2395 0.24
H -0.8992 -1.2561 1.5779 0.02
H -1.2794 -2.5277 0.5272 0.00
H 1.6774 0.5467 -0.7301 0.01
H 0.0150 -1.3912 -1.2863 0.00
H 1.8078 -1.5824 1.3074 0.00
H 2.3486 -1.9737 -0.3922 0.00
H 1.2001 -2.9768 0.4794 0.00
H -0.2100 3.0953 -1.5146 0.00
H 0.5271 3.1002 0.1869 0.00
H -1.3563 3.1110 -0.0312 0.00
H -2.4898 1.5973 -0.4506 0.01
```

Its expectation value of S² is 2.013. The calculation puts the orbital gap (spin up / spin down) at 5.50 / 6.70 eV. As for the spin multiplicity: 3. Its net charge is 0. Its calculated total energy is -5589.247761 Ha.

(3)
Here is 3 unconnected molecules or ions with the total composition C6H10F3O4 from the OMol25 dataset. Energies are from ωB97M-V with the def2-TZVPD basis set.

The geometry in XYZ format:
```
23
Properties=species:S:1:pos:R:3:nbo_charge:R:1
O 2.3448 -2.6830 -0.3191 -0.82
H 1.5664 -1.6792 -0.9204 0.34
C 3.4875 -2.6164 0.2324 1.14
F 4.5244 -2.2882 -0.6135 -0.39
F 3.8730 -3.8017 0.8029 -0.39
F 3.5896 -1.6952 1.2515 -0.39
C 0.6869 -0.6768 -1.7484 -0.51
O -0.5362 -0.2173 -1.1836 -0.60
C -0.7418 -0.6203 0.1428 -0.08
C -2.0034 0.0055 0.7030 -0.08
O -1.8394 1.3292 1.1717 -0.52
C -1.8486 2.3208 0.1979 -0.17
C -1.8066 3.6906 0.8017 0.42
O -1.7863 3.9334 1.9848 -0.52
H 1.4504 0.1201 -1.6355 0.19
H 0.4309 -1.4765 -2.4689 0.19
H 0.1199 -0.3357 0.7770 0.18
H -0.8471 -1.7224 0.2013 0.17
H -2.8041 -0.0332 -0.0572 0.16
H -2.3307 -0.5812 1.5716 0.18
H -0.9940 2.2444 -0.5009 0.22
H -1.7785 4.5078 0.0464 0.09
H -2.7569 2.2753 -0.4375 0.18
```

The calculation puts the orbital gap at 7.03 eV. Its net charge is -1. The value obtained for the relative energy (zero: lowest compared OMol25 entry of this formula, charge and spin) is 12.28 kcal/mol. Its calculated total energy is -835.148735 Ha.

(4)
Here is 2 unconnected molecules or ions with the total composition C4H10O2 from the OMol25 dataset. Energies are from ωB97M-V with the def2-TZVPD basis set.

The geometry in XYZ format:
```
16
Properties=species:S:1:pos:R:3:nbo_charge:R:1
C -0.8172 -1.1611 -2.4459 -0.25
O -0.3003 -1.7599 -1.2817 -0.73
C -0.3576 0.2056 0.8823 -0.46
C 0.5624 0.7890 1.9051 0.08
C 1.0937 0.5115 0.5437 -0.47
O 0.4435 2.1338 2.2589 -0.70